**Exercise:**
The reader should echo the contents underneath verbatim.

**Source:**
/*
The following is a computed powder diffraction line list of Li4MnFe3B4O12. It was derived from a DFT-relaxed cell (PBE+U, the Materials Project), using Cu Kα, 1.54184 Å.
Lines closer than 0.1° are merged.

Structural model:
abc: 5.2278 5.2301 10.4064
angles: 90.77 91.23 119.90
Space group P1 (No. 1)
Symmetry-distinct sites (fractional):
Li 0.0000 0.0000 0.0000 [1 per cell]
Li 0.0317 0.9924 0.4971 [1 per cell]
Li 0.3193 0.3159 0.2494 [1 per cell]
Li 0.3520 0.3139 0.7472 [1 per cell]
Mn 0.6786 0.3309 0.0316 [1 per cell]
Fe 0.0125 0.6594 0.7826 [1 per cell]
Fe 0.3616 0.6770 0.5350 [1 per cell]
Fe 0.6654 0.9774 0.2852 [1 per cell]
B 0.9999 0.6477 0.2912 [1 per cell]
B 0.3405 0.6573 0.0395 [1 per cell]
B 0.6816 0.9907 0.7877 [1 per cell]
B 0.6872 0.3289 0.5392 [1 per cell]
O 0.0157 0.9212 0.3051 [1 per cell]
O 0.1031 0.6897 0.9974 [1 per cell]
O 0.2509 0.6274 0.3215 [1 per cell]
O 0.3095 0.3807 0.0529 [1 per cell]
O 0.4145 0.3059 0.5512 [1 per cell]
O 0.4334 0.7263 0.7494 [1 per cell]
O 0.6131 0.9087 0.0714 [1 per cell]
O 0.6600 0.2419 0.8160 [1 per cell]
O 0.7097 0.0819 0.5006 [1 per cell]
O 0.7387 0.3987 0.2498 [1 per cell]
O 0.9440 0.5970 0.5699 [1 per cell]
O 0.9568 0.0111 0.8012 [1 per cell]

Most intense lines, 2θ = 15–90°, sorted by position:
2θ/deg	I (rel.)	(hkl)
19.6	717	1 -1 0
21.4	377	1 -1 1
21.6	674	0 1 1
25.7	441	1 0 -2
26.5	278	1 0 2
34.3	872	1 -2 0
34.5	1000	0 0 4
40.5	453	2 0 -1
40.8	244	2 -2 1
61.4	233	0 3 0

---

The following is a computed powder diffraction line list of Li4Mn3FeB4O12. It was derived from a DFT-relaxed cell (PBE+U, the Materials Project), using Cu Kα, 1.54184 Å.
Lines closer than 0.1° are merged.

Structural model:
abc: 5.2320 6.0398 16.2522
angles: 82.11 88.93 89.36
Space group P1 (No. 1)
Symmetry-distinct sites (fractional):
Li 0.0000 0.0000 0.0000 [1 per cell]
Li 0.0004 0.4999 0.4991 [1 per cell]
Li 0.1984 0.3761 0.0319 [1 per cell]
Li 0.1990 0.8751 0.5304 [1 per cell]
Li 0.5000 0.2491 0.2504 [1 per cell]
Li 0.5005 0.7515 0.7487 [1 per cell]
Li 0.6976 0.1257 0.7801 [1 per cell]
Li 0.6999 0.6258 0.2824 [1 per cell]
Mn 0.0153 0.5863 0.6804 [1 per cell]
Mn 0.0170 0.0858 0.1817 [1 per cell]
Mn 0.1823 0.2886 0.8510 [1 per cell]
Mn 0.5166 0.3358 0.4315 [1 per cell]
Mn 0.5166 0.8377 0.9304 [1 per cell]
Mn 0.6822 0.5374 0.1008 [1 per cell]
Fe 0.1788 0.7884 0.3517 [1 per cell]
Fe 0.6885 0.0386 0.6008 [1 per cell]
B 0.0188 0.7785 0.8422 [1 per cell]
B 0.0200 0.2772 0.3430 [1 per cell]
B 0.1791 0.1002 0.6870 [1 per cell]
B 0.1814 0.5980 0.1896 [1 per cell]
B 0.5193 0.0278 0.0927 [1 per cell]
B 0.5196 0.5271 0.5927 [1 per cell]
B 0.6787 0.8486 0.4379 [1 per cell]
B 0.6797 0.3482 0.9385 [1 per cell]
O 0.0317 0.2324 0.7346 [1 per cell]
O 0.0324 0.7314 0.2363 [1 per cell]
O 0.0571 0.9866 0.6295 [1 per cell]
O 0.0630 0.4820 0.1326 [1 per cell]
O 0.1354 0.8962 0.8989 [1 per cell]
O 0.1377 0.3954 0.3993 [1 per cell]
O 0.1687 0.1402 0.2976 [1 per cell]
O 0.1691 0.6435 0.7961 [1 per cell]
O 0.2595 0.0491 0.0792 [1 per cell]
O 0.2596 0.5493 0.5788 [1 per cell]
O 0.4390 0.0761 0.6987 [1 per cell]
O 0.4415 0.5766 0.2027 [1 per cell]
O 0.5288 0.4831 0.9842 [1 per cell]
O 0.5362 0.9797 0.4869 [1 per cell]
O 0.5559 0.7346 0.3814 [1 per cell]
O 0.5641 0.2301 0.8815 [1 per cell]
O 0.6359 0.6455 0.6491 [1 per cell]
O 0.6365 0.1460 0.1491 [1 per cell]
O 0.6690 0.8924 0.0467 [1 per cell]
O 0.6697 0.3906 0.5473 [1 per cell]
O 0.7592 0.7994 0.8283 [1 per cell]
O 0.7604 0.2989 0.3296 [1 per cell]
O 0.9393 0.3276 0.9525 [1 per cell]
O 0.9407 0.8288 0.4489 [1 per cell]

Most intense lines, 2θ = 15–90°, sorted by position:
2θ/deg	I (rel.)	(hkl)
20.4	784	1 0 -2
20.7	205	0 1 3
22.1	342	0 0 4
22.6	600	1 1 1
33.4	1000	0 2 -2
34.0	330	1 1 5
34.3	254	2 0 0
34.7	278	-1 1 5
40.0	260	0 1 7
40.8	543	2 0 4

---

The following is a computed powder diffraction line list of Li2MnFeB2O6. It was derived from a DFT-relaxed cell (PBE+U, the Materials Project), using Cu Kα, 1.54184 Å.
Lines closer than 0.1° are merged.

Structural model:
*/

**Written answer:**
The following is a computed powder diffraction line list of Li4MnFe3B4O12. It was derived from a DFT-relaxed cell (PBE+U, the Materials Project), using Cu Kα, 1.54184 Å.
Lines closer than 0.1° are merged.

Structural model:
abc: 5.2278 5.2301 10.4064
angles: 90.77 91.23 119.90
Space group P1 (No. 1)
Symmetry-distinct sites (fractional):
Li 0.0000 0.0000 0.0000 [1 per cell]
Li 0.0317 0.9924 0.4971 [1 per cell]
Li 0.3193 0.3159 0.2494 [1 per cell]
Li 0.3520 0.3139 0.7472 [1 per cell]
Mn 0.6786 0.3309 0.0316 [1 per cell]
Fe 0.0125 0.6594 0.7826 [1 per cell]
Fe 0.3616 0.6770 0.5350 [1 per cell]
Fe 0.6654 0.9774 0.2852 [1 per cell]
B 0.9999 0.6477 0.2912 [1 per cell]
B 0.3405 0.6573 0.0395 [1 per cell]
B 0.6816 0.9907 0.7877 [1 per cell]
B 0.6872 0.3289 0.5392 [1 per cell]
O 0.0157 0.9212 0.3051 [1 per cell]
O 0.1031 0.6897 0.9974 [1 per cell]
O 0.2509 0.6274 0.3215 [1 per cell]
O 0.3095 0.3807 0.0529 [1 per cell]
O 0.4145 0.3059 0.5512 [1 per cell]
O 0.4334 0.7263 0.7494 [1 per cell]
O 0.6131 0.9087 0.0714 [1 per cell]
O 0.6600 0.2419 0.8160 [1 per cell]
O 0.7097 0.0819 0.5006 [1 per cell]
O 0.7387 0.3987 0.2498 [1 per cell]
O 0.9440 0.5970 0.5699 [1 per cell]
O 0.9568 0.0111 0.8012 [1 per cell]

Most intense lines, 2θ = 15–90°, sorted by position:
2θ/deg	I (rel.)	(hkl)
19.6	717	1 -1 0
21.4	377	1 -1 1
21.6	674	0 1 1
25.7	441	1 0 -2
26.5	278	1 0 2
34.3	872	1 -2 0
34.5	1000	0 0 4
40.5	453	2 0 -1
40.8	244	2 -2 1
61.4	233	0 3 0

---

The following is a computed powder diffraction line list of Li4Mn3FeB4O12. It was derived from a DFT-relaxed cell (PBE+U, the Materials Project), using Cu Kα, 1.54184 Å.
Lines closer than 0.1° are merged.

Structural model:
abc: 5.2320 6.0398 16.2522
angles: 82.11 88.93 89.36
Space group P1 (No. 1)
Symmetry-distinct sites (fractional):
Li 0.0000 0.0000 0.0000 [1 per cell]
Li 0.0004 0.4999 0.4991 [1 per cell]
Li 0.1984 0.3761 0.0319 [1 per cell]
Li 0.1990 0.8751 0.5304 [1 per cell]
Li 0.5000 0.2491 0.2504 [1 per cell]
Li 0.5005 0.7515 0.7487 [1 per cell]
Li 0.6976 0.1257 0.7801 [1 per cell]
Li 0.6999 0.6258 0.2824 [1 per cell]
Mn 0.0153 0.5863 0.6804 [1 per cell]
Mn 0.0170 0.0858 0.1817 [1 per cell]
Mn 0.1823 0.2886 0.8510 [1 per cell]
Mn 0.5166 0.3358 0.4315 [1 per cell]
Mn 0.5166 0.8377 0.9304 [1 per cell]
Mn 0.6822 0.5374 0.1008 [1 per cell]
Fe 0.1788 0.7884 0.3517 [1 per cell]
Fe 0.6885 0.0386 0.6008 [1 per cell]
B 0.0188 0.7785 0.8422 [1 per cell]
B 0.0200 0.2772 0.3430 [1 per cell]
B 0.1791 0.1002 0.6870 [1 per cell]
B 0.1814 0.5980 0.1896 [1 per cell]
B 0.5193 0.0278 0.0927 [1 per cell]
B 0.5196 0.5271 0.5927 [1 per cell]
B 0.6787 0.8486 0.4379 [1 per cell]
B 0.6797 0.3482 0.9385 [1 per cell]
O 0.0317 0.2324 0.7346 [1 per cell]
O 0.0324 0.7314 0.2363 [1 per cell]
O 0.0571 0.9866 0.6295 [1 per cell]
O 0.0630 0.4820 0.1326 [1 per cell]
O 0.1354 0.8962 0.8989 [1 per cell]
O 0.1377 0.3954 0.3993 [1 per cell]
O 0.1687 0.1402 0.2976 [1 per cell]
O 0.1691 0.6435 0.7961 [1 per cell]
O 0.2595 0.0491 0.0792 [1 per cell]
O 0.2596 0.5493 0.5788 [1 per cell]
O 0.4390 0.0761 0.6987 [1 per cell]
O 0.4415 0.5766 0.2027 [1 per cell]
O 0.5288 0.4831 0.9842 [1 per cell]
O 0.5362 0.9797 0.4869 [1 per cell]
O 0.5559 0.7346 0.3814 [1 per cell]
O 0.5641 0.2301 0.8815 [1 per cell]
O 0.6359 0.6455 0.6491 [1 per cell]
O 0.6365 0.1460 0.1491 [1 per cell]
O 0.6690 0.8924 0.0467 [1 per cell]
O 0.6697 0.3906 0.5473 [1 per cell]
O 0.7592 0.7994 0.8283 [1 per cell]
O 0.7604 0.2989 0.3296 [1 per cell]
O 0.9393 0.3276 0.9525 [1 per cell]
O 0.9407 0.8288 0.4489 [1 per cell]

Most intense lines, 2θ = 15–90°, sorted by position:
2θ/deg	I (rel.)	(hkl)
20.4	784	1 0 -2
20.7	205	0 1 3
22.1	342	0 0 4
22.6	600	1 1 1
33.4	1000	0 2 -2
34.0	330	1 1 5
34.3	254	2 0 0
34.7	278	-1 1 5
40.0	260	0 1 7
40.8	543	2 0 4

---

The following is a computed powder diffraction line list of Li2MnFeB2O6. It was derived from a DFT-relaxed cell (PBE+U, the Materials Project), using Cu Kα, 1.54184 Å.
Lines closer than 0.1° are merged.

Structural model: